Which laptop? So 500 euro? Differences? AMD Ryzen?


Hi, I might want to buy a laptop. He should perhaps cost so 500 euro, maybe at most so 600 euro.

Do you have recommendations?

I once compared 3 here, the data are as far as the same, the brand too, why are there still price differences? The one with the largest hard drive is even the cheapest. I do not quite understand that.

Are they good? Or would you advise another?

He should not overheat.

Is it true that an AMD Ryzen processor is better than an Intel (i3 or Pentium)?
After reading a bit on the internet, I feel like the battle between the AMD processor advocates and the Intel processor advocates is so similar between the Apple and Android people…
Are there clear differences between AMD and Intel? (Unfortunately I do not know all that well, that's why I'm asking here.)

And is it true that a "Radeon Vega 8 mobile" video card is not as hot as others?

- - -
Record 1
Pr3SmRh: relaxed, GGA-PBE.

Geometry as CIF:
```
data_Pr3SmRh
_symmetry_space_group_name_H-M 'P 1'
_symmetry_Int_Tables_number 1
_cell_length_a 5.735
_cell_length_b 7.528
_cell_length_c 7.540
_cell_angle_alpha 102.49
_cell_angle_beta 90.01
_cell_angle_gamma 90.05
loop_
_symmetry_equiv_pos_as_xyz
'x,y,z'
loop_
_atom_site_label
_atom_site_fract_x
_atom_site_fract_y
_atom_site_fract_z
_atom_site_occupancy
Pr1 0.000 0.000 0.000 1
Pr2 0.000 0.042 0.465 1
Pr3 0.000 0.509 0.342 1
Pr4 0.001 0.465 0.863 1
Pr5 0.500 0.236 0.275 1
Pr6 0.501 0.633 0.694 1
Sm1 0.500 0.116 0.741 1
Sm2 0.500 0.765 0.226 1
Rh1 0.002 0.766 0.664 1
Rh2 0.501 0.433 0.996 1
```

Computed properties:
Offset from the most stable computed form, meV/atom: 58
Magnetic moment, Bohr magnetons per cell: 0.0
DFT formation energy, kJ/mol of formula units: -123
Crystal system: triclinic

Record 2
PrSmRh: relaxed, GGA-PBE.

Geometry as CIF:
```
data_PrSmRh
_symmetry_space_group_name_H-M 'P 3 m 1'
_symmetry_Int_Tables_number 156
_cell_length_a 4.1273
_cell_length_b 4.1273
_cell_length_c 6.3971
_cell_angle_alpha 90.00
_cell_angle_beta 90.00
_cell_angle_gamma 120.00
loop_
_symmetry_equiv_pos_as_xyz
'x,y,z'
'-y,x-y,z'
'-x+y,-x,z'
'-y,-x,z'
'-x+y,y,z'
'x,x-y,z'
loop_
_atom_site_label
_atom_site_fract_x
_atom_site_fract_y
_atom_site_fract_z
_atom_site_occupancy
Pr1 0.0000 0.0000 0.0000 1
Sm1 0.3333 0.6667 0.4767 1
Rh1 0.6667 0.3333 0.2449 1
```

Computed properties:
Offset from the most stable computed form, meV/atom: 66
Magnetic moment, Bohr magnetons per cell: 0.0
DFT formation energy, kJ/mol of formula units: -130
Crystal system: trigonal

Record 3
Pr2Sm2Rh3: relaxed, GGA-PBE.

Geometry as CIF:
```
data_Pr2Sm2Rh3
_symmetry_space_group_name_H-M 'I 21 3'
_symmetry_Int_Tables_number 199
_symmetry_space_group_name_Hall 'I 2b 2c 3'
_cell_length_a 8.852
_cell_length_b 8.852
_cell_length_c 8.852
_cell_angle_alpha 90.00
_cell_angle_beta 90.00
_cell_angle_gamma 90.00
loop_
_atom_site_label
_atom_site_fract_x
_atom_site_fract_y
_atom_site_fract_z
_atom_site_occupancy
Pr1 0.189 0.189 0.189 1
Sm1 0.058 0.442 0.558 1
Rh1 0.000 0.250 0.856 1
```

Computed properties:
Offset from the most stable computed form, meV/atom: 0
Magnetic moment, Bohr magnetons per cell: 0.0
DFT formation energy, kJ/mol of formula units: -430
Crystal system: cubic

Record 4
PrSmRh: relaxed, GGA-PBE.

Geometry as CIF:
```
data_PrSmRh
_symmetry_space_group_name_H-M 'A m m 2'
_symmetry_Int_Tables_number 38
_cell_length_a 4.912
_cell_length_b 12.990
_cell_length_c 7.524
_cell_angle_alpha 90.00
_cell_angle_beta 90.00
_cell_angle_gamma 90.00
loop_
_symmetry_equiv_pos_as_xyz
'x,y,z'
'-x,-y,z'
'-x,y,z'
'x,-y,z'
'x,y+1/2,z+1/2'
'-x,-y+1/2,z+1/2'
'-x,y+1/2,z+1/2'
'x,-y+1/2,z+1/2'
loop_
_atom_site_label
_atom_site_fract_x
_atom_site_fract_y
_atom_site_fract_z
_atom_site_occupancy
Pr1 0.000 0.000 0.000 1
Pr2 0.000 0.201 0.601 1
Sm1 0.500 0.000 0.670 1
Sm2 0.500 0.134 0.267 1
Rh1 0.000 0.000 0.401 1
Rh2 0.500 0.167 0.901 1
```
- - -

I thank you in advance for the answers.


What do you have in mind with the calculator?

To the computers you compared. The 10 euro difference are probably on the SSD. One has a large HDD and a small SSD, the other a larger SSD. That will probably make the difference. There's no Windows with them, you have to buy them (if you need them). That is also the reason why the third is so expensive, since Windows 10 is included as a CD.


Actually, I just want to surf the internet, watch videos and listen to music. So, not necessarily playing games.



Unfortunately, I can't say what is currently on good laptop models in the market. I'm not really in there right now.

As far as heating is concerned, it often depends on the model. That depends on how the cards are installed and how good the cooling is. Especially in tests to mobile GPUs or Vega will be tested whole laptops. There's certainly one or the other model of you.

Otherwise, just look at Google for the model and vllt look for reviews. It is difficult to say in general terms whether this stays cool to your satisfaction or not.

As for the Intel or Intel comparison:

There are now many statements with Wenns and But. To Intel's processors, there are now often competitor products from AMD and vice versa (you seem to prefer the 2500U.) Intel's counterpart would be the i5 8520U). It is often the case that Intel still has the edge in terms of pure CPU performance. There's often a performance gap between 5-15, in exceptional cases up to 20% (Of course only if you compare the right CPUs that are in direct competition with each other).

But then they like to come in, if… In benchmarks, it's important how the CPUs work under power, in single-core applications, multi-core applications, separate games, or special apps. Even though it is true that Intel is often a bit faster (especially when it comes to games), AMD usually scores points with other little extras. In your case, it would be the fact that the Vega graphics unit is better than the 620 of the i5 8520U. (A page on which users compare their CPUs is, for example, this one, here you can have a look: https://cpu.userbenchmark.com/...sm378273.)

The biggest argument for AMD is, especially if you are not in the high-end market and a few hundred euro more or less not scratch, the price. Price is AMD then top, if it, as with you, so ne certain limit is how expensive something may be, so I would advise you immediately to an AMD CPU.

**The page is interrupted by calculated crystals**
(1)
This record from Alexandria via LeMat-Bulk describes a geometry-optimized ErSbPdPt structure. The functional is PBE-GGA.

Calculated values
formation energy without anion corrections = -0.8584 eV/atom
total energy = -23.35 eV per formula unit

```
data_ErSbPdPt
_chemical_formula_sum 'Er4 Sb4 Pd4 Pt4'
_space_group_name_H-M_alt 'F -4 3 m'
_space_group_IT_number 216
_space_group_name_Hall 'F -4 2 3'
_cell_length_a 6.7989
_cell_length_b 6.7989
_cell_length_c 6.7989
_cell_angle_alpha 90.00
_cell_angle_beta 90.00
_cell_angle_gamma 90.00
loop_
_atom_site_label
_atom_site_type_symbol
_atom_site_fract_x
_atom_site_fract_y
_atom_site_fract_z
_atom_site_occupancy
Er1 Er 0.0000 0.0000 0.0000 1
Sb1 Sb 0.0000 0.0000 0.5000 1
Pd1 Pd 0.2500 0.2500 0.7500 1
Pt1 Pt 0.2500 0.2500 0.2500 1
```



(2)
This record from Alexandria via LeMat-Bulk describes a geometry-optimized ErScPdPt structure. The functional is PBE-GGA.

Calculated values
energy of formation = -1.08 eV per atom
total energy = -26.44 eV per formula unit

```
data_ErScPdPt
_chemical_formula_sum 'Er4 Sc4 Pd4 Pt4'
_space_group_name_H-M_alt 'F -4 3 m'
_space_group_IT_number 216
_space_group_name_Hall 'F -4 2 3'
_cell_length_a 6.7827
_cell_length_b 6.7827
_cell_length_c 6.7827
_cell_angle_alpha 90.00
_cell_angle_beta 90.00
_cell_angle_gamma 90.00
loop_
_atom_site_label
_atom_site_type_symbol
_atom_site_fract_x
_atom_site_fract_y
_atom_site_fract_z
_atom_site_occupancy
Er1 Er 0.0000 0.0000 0.0000 1
Sc1 Sc 0.0000 0.0000 0.5000 1
Pd1 Pd 0.2500 0.2500 0.2500 1
Pt1 Pt 0.2500 0.2500 0.7500 1
```



(3)
This record from Alexandria via LeMat-Bulk describes a geometry-optimized ErSi2PdPt5 structure. The functional is PBE-GGA.

Calculated values
formation energy without anion corrections = -0.5494 eV/atom
total energy = -55.75 eV per formula unit

```
data_ErSi2PdPt5
_chemical_formula_sum 'Er1 Si2 Pd1 Pt5'
_space_group_name_H-M_alt 'P 4/m m m'
_space_group_IT_number 123
_space_group_name_Hall '-P 4 2'
_cell_length_a 3.9895
_cell_length_b 3.9895
_cell_length_c 10.9305
_cell_angle_alpha 90.00
_cell_angle_beta 90.00
_cell_angle_gamma 90.00
loop_
_atom_site_label
_atom_site_type_symbol
_atom_site_fract_x
_atom_site_fract_y
_atom_site_fract_z
_atom_site_occupancy
Er1 Er 0.0000 0.0000 0.0000 1
Si1 Si 0.5000 0.5000 0.2144 1
Pd1 Pd 0.0000 0.0000 0.5000 1
Pt1 Pt 0.0000 0.5000 0.3286 1
Pt2 Pt 0.5000 0.5000 0.0000 1
```

=====

LiNpBO5, relaxed, DFT PBE; formation energy (no corrections) = -2485 meV per atom
1.0
5.367 0.584 -0.178
-1.009 5.304 -0.178
-2.045 -2.763 6.984
Li Np B O
2 2 2 10
Cartesian
0.680 2.984 1.568
1.633 0.140 5.061
-1.023 -1.381 3.492
0.000 0.000 0.000
2.669 1.512 1.568
-0.356 1.613 5.061
-0.858 4.123 1.568
3.172 -0.999 5.061
3.812 1.620 0.617
-1.499 1.505 6.012
2.899 0.387 2.520
-0.586 2.738 4.109
2.492 2.793 2.292
-0.179 0.331 4.337
1.392 1.307 0.845
0.921 1.818 5.784

***

SbWAu2, relaxed, DFT PBE; formation energy (no corrections) = 372 meV per atom
1.0
2.943 0.010 0.000
-0.008 2.943 0.000
**The page goes on**

The extra power that I mentioned above is often not worth the price difference and certainly not in your price segment.


Ok, thanks for the detailed answer.


The answer from @ Gedankengr… Was very good and detailed.

Personally, I would go for the AMD in your price segment. This offers greater flexibility in the application, which results from the built-Vega graphics, this is a lot better than the Intel graphics.

Inserted here: calculated crystals =
Here is ErPaMnO6 after structural relaxation from Alexandria via LeMat-Bulk. Energies are from GGA+U.

a = 4.7919 Å, b = 5.3145 Å, c = 5.3145 Å
α = 120.00°, β = 90.00°, γ = 90.00°
Last column: nearest neighbours and their distance in Å.
Fractional positions:
Mn: 0.5000 0.0000 0.0000  6 O 1.96
Pa: 0.0000 0.3333 0.6667  6 O 2.20
O: 0.2668 0.2953 0.3114  1 Mn 1.96
O: 0.7332 0.0160 0.3114  1 Mn 1.96
O: 0.7332 0.2953 0.9840  1 Mn 1.96
O: 0.7332 0.6886 0.7047  1 Mn 1.96
O: 0.2668 0.6886 0.9840  1 Mn 1.96
O: 0.2668 0.0160 0.7047  1 Mn 1.96

Then you should watch that a SSD is installed, which is an enormous speed profit nobody wants to miss when he was traveling with an SSD. The SSD should have at least 250GB. 120GB is enough even if you do not do anything great (ie big games or tons of pictures and videos).


OK thanks.


In a nutshell:

Which processor is better depends on the exact model. Here I would say flat rate that the Ryzen are better than an i3 or Pentium
Laptops generally overheat relatively quickly. So it depends on the whole cooling solution and not on the graphics card

Personally, I would take that with the HDD. Costs little and offers the most.


Thank you.


With pleasure.